# Entries
## NaMg3NbS6O24 (GGA-PBE)

Data for NaMg3NbS6O24 after structural relaxation.

Structure (POSCAR):
```
NaMg3NbS6O24
1.0
-6.922 2.203 -4.794
2.638 -8.290 0.282
-13.486 -3.686 17.780
Na Mg Nb S O
3 9 3 18 72
Cartesian
-0.039 -0.011 0.052 Na
-15.012 -4.377 11.765 Na
-8.113 -2.491 2.669 Na
-4.678 -1.279 6.167 Mg
-11.547 -3.156 15.223 Mg
-2.116 -0.578 2.790 Mg
-12.980 -3.821 9.086 Mg
-6.300 -1.995 0.279 Mg
-16.983 -4.915 14.363 Mg
-10.201 -3.061 5.422 Mg
-4.634 -5.909 3.976 Mg
-11.506 -7.787 13.036 Mg
-8.729 -2.386 11.508 Nb
-0.886 -4.884 -0.965 Nb
-7.490 -6.689 7.742 Nb
-5.415 -0.305 3.052 S
-6.432 -5.211 1.264 S
-9.516 -1.142 -0.232 S
-11.414 -4.540 12.050 S
-15.188 -6.428 8.796 S
-15.045 -1.235 9.981 S
-13.601 -2.829 5.892 S
-10.386 -1.682 8.568 S
-10.835 -5.827 7.368 S
-6.035 -3.403 -2.908 S
-5.664 0.769 -1.762 S
-2.847 -2.161 -0.233 S
-14.907 -7.512 13.476 S
-11.640 -6.406 16.184 S
-12.138 -10.581 14.940 S
-7.375 -8.121 4.599 S
-6.904 -3.865 5.838 S
-4.067 -6.954 7.350 S
-5.498 -0.926 4.396 O
-7.703 -5.834 1.706 O
-10.321 -0.489 0.828 O
-11.804 -3.966 13.332 O
-15.446 -7.392 9.859 O
-16.448 -1.406 10.340 O
-12.371 -8.940 8.805 O
-10.110 -3.795 11.586 O
-7.346 -9.343 12.533 O
-5.984 -5.705 -0.053 O
-2.247 -2.425 3.461 O
-1.386 -8.424 2.870 O
-13.720 -3.430 7.211 O
-11.628 -2.277 9.037 O
-11.631 -5.220 8.424 O
-6.545 -2.842 -1.682 O
-5.906 -0.085 -0.626 O
-4.200 -2.444 0.180 O
-2.722 -1.623 -1.588 O
-4.825 -2.758 -3.418 O
-4.804 0.186 -2.792 O
-9.889 -2.224 7.319 O
-10.564 -4.958 6.240 O
-12.240 -2.574 5.463 O
-14.950 -8.092 14.885 O
-12.912 -7.114 16.634 O
-13.018 -9.894 15.977 O
-7.785 -7.565 6.079 O
-7.290 -4.951 6.996 O
-5.628 -7.068 7.818 O
-4.117 -6.338 6.049 O
-6.137 -7.457 4.285 O
-6.137 -4.611 4.875 O
-11.227 -6.911 14.875 O
-11.806 -9.642 13.870 O
-13.518 -7.364 13.044 O
-3.593 -8.317 7.426 O
-8.529 -7.801 3.790 O
-6.223 -2.822 6.570 O
-11.994 -4.970 16.153 O
-10.945 -11.030 15.691 O
-15.660 -8.476 12.645 O
-14.333 -1.484 5.904 O
-9.305 -1.918 9.628 O
-11.589 -7.047 6.832 O
-5.870 -4.857 -2.926 O
-6.850 1.362 -2.380 O
-2.049 -1.362 0.697 O
-14.388 -2.548 9.919 O
-12.442 -4.244 11.043 O
-14.411 -5.300 9.330 O
-6.693 -3.747 1.201 O
-8.278 -1.632 0.437 O
-6.154 -1.216 2.134 O
-15.550 -6.187 13.482 O
-17.491 -4.472 12.365 O
-15.511 -3.431 14.083 O
-9.814 -1.266 4.535 O
-8.206 -3.466 5.299 O
-10.400 -3.855 3.554 O
-2.127 -3.567 -0.286 O
-0.220 -5.308 0.799 O
-2.205 -6.296 -0.911 O
-7.915 -8.489 8.790 O
-9.581 -6.376 7.965 O
-7.426 -5.873 9.703 O
-3.406 -7.272 3.338 O
-5.362 -5.486 2.225 O
-3.325 -4.472 3.980 O
-11.054 -5.946 12.100 O
-9.443 -8.212 12.852 O
-11.686 -8.564 11.078 O
```

Computed properties:
- Magnetization: 0.00 μB/f.u.
- Energy of formation from the pure elements: -2.28 eV/atom
- Mass density: 2.57 g/cm³

***

## Na3Mg5NbS9O36 (GGA-PBE)

Data for Na3Mg5NbS9O36 after structural relaxation.

Structure (POSCAR):
```
Na3Mg5NbS9O36
1.0
8.673 0.000 0.000
-4.336 7.511 0.000
0.000 0.000 22.788
Na Mg Nb S O
6 10 2 18 72
Cartesian
0.000 0.000 11.507 Na
0.000 0.000 0.113 Na
4.336 2.504 18.990 Na
4.336 2.504 7.596 Na
0.000 5.007 3.591 Na
0.000 5.007 14.986 Na
0.000 0.000 8.012 Mg
0.000 0.000 19.406 Mg
0.000 0.000 14.690 Mg
0.000 0.000 3.296 Mg
4.336 2.504 15.484 Mg
4.336 2.504 4.089 Mg
4.336 2.504 22.482 Mg
4.336 2.504 11.088 Mg
0.000 5.007 0.510 Mg
0.000 5.007 11.904 Mg
0.000 5.007 7.147 Nb
0.000 5.007 18.541 Nb
2.504 0.050 5.709 S
3.127 5.317 5.709 S
7.378 2.144 5.709 S
1.295 2.144 17.104 S
5.545 5.317 17.104 S
6.169 0.050 17.104 S
6.875 2.501 13.293 S
3.064 0.306 13.293 S
3.069 4.704 13.293 S
5.603 4.704 1.899 S
5.608 0.306 1.899 S
1.797 2.501 1.899 S
2.544 5.013 20.929 S
-1.267 2.801 20.929 S
-1.277 7.207 20.929 S
1.277 7.207 9.535 S
1.267 2.801 9.535 S
-2.544 5.013 9.535 S
1.716 0.194 6.928 O
3.646 5.928 6.928 O
7.647 1.389 6.928 O
1.026 1.389 18.322 O
5.027 5.928 18.322 O
6.957 0.194 18.322 O
2.610 7.261 15.911 O
0.647 1.620 15.911 O
-3.257 6.140 15.911 O
3.257 6.140 4.516 O
-0.647 1.620 4.516 O

# Assignment
It remains to filter the rows earlier on: keep the lines with the word "cm³".

# Response
- Mass density: 2.57 g/cm³